Brief:
What is needed: transcribe all of the rows underneath character by character.

Entries:
********
No. 1
A plane-wave DFT calculation with r2SCAN was carried out for crystalline ErUTe6 at its relaxed geometry.

Structure (POSCAR):
```
ErUTe6
1.0
4.363 0.000 0.000
0.000 4.358 0.000
0.000 0.000 26.086
Er U Te
2 2 12
Cartesian
0.000 0.000 0.000
0.000 2.179 13.043
2.181 0.000 17.238
2.181 2.179 4.195
0.000 0.000 3.201
0.000 0.000 10.589
0.000 0.000 19.689
0.000 2.179 6.646
0.000 2.179 16.244
0.000 2.179 23.632
2.181 0.000 6.647
2.181 0.000 13.972
2.181 0.000 23.627
2.181 2.179 0.930
2.181 2.179 10.584
2.181 2.179 19.690
```

## Properties
SG	Amm2
size of the total moment	5.1	μB per cell
formation enthalpy at 0 K	-89	kJ per mole of atoms


No. 2
A plane-wave DFT calculation with r2SCAN was carried out for crystalline Tm2GeO5 at its relaxed geometry.

Structure (POSCAR):
```
Tm2GeO5
1.0
10.097 0.000 0.000
0.000 3.626 0.000
0.000 0.000 10.918
Tm Ge O
8 4 20
Cartesian
1.120 0.907 2.410
1.373 0.907 6.066
3.676 2.720 0.607
3.928 2.720 7.869
6.169 0.907 3.049
6.421 0.907 10.311
8.724 2.720 4.852
8.977 2.720 8.508
1.766 0.907 9.600
3.283 2.720 4.141
6.814 0.907 6.777
8.331 2.720 1.318
0.063 0.907 9.228
0.076 2.720 6.609
2.259 0.907 0.422
2.351 2.720 9.627
2.457 2.720 2.509
2.592 0.907 7.968
2.698 0.907 4.168
2.789 2.720 5.881
4.972 0.907 1.150
4.985 2.720 3.769
5.112 0.907 7.149
5.125 2.720 9.768
7.308 0.907 5.037
7.399 2.720 6.750
7.505 2.720 2.950
7.640 0.907 8.409
7.746 0.907 1.291
7.838 2.720 10.496
10.021 0.907 4.309
10.034 2.720 1.690
```

## Properties
SG	Pnma
size of the total moment	0.0	μB per cell
formation enthalpy at 0 K	-315	kJ per mole of atoms


No. 3
A plane-wave DFT calculation with r2SCAN was carried out for crystalline Ho2SO2 at its relaxed geometry.

Structure (POSCAR):
```
Ho2SO2
1.0
3.750 0.000 0.000
-1.875 3.248 0.000
0.000 0.000 13.243
Ho S O
4 2 4
Cartesian
0.000 2.165 1.423
0.000 2.165 5.198
1.875 1.083 8.045
1.875 1.083 11.820
0.000 0.000 3.311
0.000 0.000 9.932
0.000 2.165 7.475
0.000 2.165 12.389
1.875 1.083 0.854
1.875 1.083 5.767
```

## Properties
SG	P6_3/mmc
size of the total moment	0.0	μB per cell
formation enthalpy at 0 K	-343	kJ per mole of atoms


Look up the size of the total moment of the second one.
0.0 μB per cell


[1]
Material: FeSO7
Method: DFT, GGA+U
State: optimized geometry

Lattice parameters (Å, degrees): 19.5206 6.9901 7.4784 90.00 90.00 90.00
Last column: nearest neighbours and their distance in Å.
Atoms (fractional coordinates):
Fe1 0.1269 0.0009 0.2040  6 O 1.79-1.95
Fe2 0.1269 0.4991 0.2040  6 O 1.79-1.95
Fe3 0.3731 0.5009 0.7040  6 O 1.79-1.95
Fe4 0.3731 0.9991 0.7040  6 O 1.79-1.95
Fe5 0.6269 0.0009 0.2960  6 O 1.79-1.95
Fe6 0.6269 0.4991 0.2960  6 O 1.79-1.95
Fe7 0.8731 0.5009 0.7960  6 O 1.79-1.95
Fe8 0.8731 0.9991 0.7960  6 O 1.79-1.95
S1 0.1202 0.7500 0.5516  4 O 1.47-1.51
S2 0.1272 0.2500 0.8611  4 O 1.44-1.54
S3 0.3728 0.7500 0.3611  4 O 1.44-1.54
S4 0.3798 0.2500 0.0516  4 O 1.47-1.51
S5 0.6202 0.7500 0.9484  4 O 1.47-1.51
S6 0.6272 0.2500 0.6389  4 O 1.44-1.54
S7 0.8728 0.7500 0.1389  4 O 1.44-1.54
S8 0.8798 0.2500 0.4484  4 O 1.47-1.51
O1 0.0350 0.5343 0.2226  1 Fe 1.82
O2 0.0350 0.9657 0.2226  1 Fe 1.82
O3 0.0457 0.7500 0.5822  1 S 1.47
O4 0.0922 0.2500 0.6914  1 S 1.44
O5 0.1028 0.0731 0.9653  1 S 1.54
O6 0.1028 0.4269 0.9653  1 S 1.54
O7 0.1244 0.7500 0.1222  2 Fe 1.86
O8 0.1292 0.2500 0.2892  2 Fe 1.85
O9 0.1434 0.5742 0.4509  1 S 1.51
O10 0.1434 0.9258 0.4509  1 S 1.51
O11 0.1555 0.7500 0.7249  1 S 1.47
O12 0.2027 0.2500 0.8534  1 S 1.47
O13 0.2167 0.0397 0.1743  1 Fe 1.79
O14 0.2167 0.4603 0.1743  1 Fe 1.79
O15 0.2833 0.5397 0.6743  1 Fe 1.79
O16 0.2833 0.9603 0.6743  1 Fe 1.79
O17 0.2973 0.7500 0.3534  1 S 1.47
O18 0.3445 0.2500 0.2249  1 S 1.47
O19 0.3566 0.0742 0.9509  1 S 1.51
O20 0.3566 0.4258 0.9509  1 S 1.51
O21 0.3708 0.7500 0.7892  2 Fe 1.85
O22 0.3756 0.2500 0.6222  2 Fe 1.86
O23 0.3972 0.5731 0.4653  1 S 1.54
O24 0.3972 0.9269 0.4653  1 S 1.54
O25 0.4078 0.7500 0.1914  1 S 1.44
O26 0.4543 0.2500 0.0822  1 S 1.47
O27 0.4650 0.0343 0.7226  1 Fe 1.82
********

Response:
No. 1
A plane-wave DFT calculation with r2SCAN was carried out for crystalline ErUTe6 at its relaxed geometry.

Structure (POSCAR):
```
ErUTe6
1.0
4.363 0.000 0.000
0.000 4.358 0.000
0.000 0.000 26.086
Er U Te
2 2 12
Cartesian
0.000 0.000 0.000
0.000 2.179 13.043
2.181 0.000 17.238
2.181 2.179 4.195
0.000 0.000 3.201
0.000 0.000 10.589
0.000 0.000 19.689
0.000 2.179 6.646
0.000 2.179 16.244
0.000 2.179 23.632
2.181 0.000 6.647
2.181 0.000 13.972
2.181 0.000 23.627
2.181 2.179 0.930
2.181 2.179 10.584
2.181 2.179 19.690
```

## Properties
SG	Amm2
size of the total moment	5.1	μB per cell
formation enthalpy at 0 K	-89	kJ per mole of atoms


No. 2
A plane-wave DFT calculation with r2SCAN was carried out for crystalline Tm2GeO5 at its relaxed geometry.

Structure (POSCAR):
```
Tm2GeO5
1.0
10.097 0.000 0.000
0.000 3.626 0.000
0.000 0.000 10.918
Tm Ge O
8 4 20
Cartesian
1.120 0.907 2.410
1.373 0.907 6.066
3.676 2.720 0.607
3.928 2.720 7.869
6.169 0.907 3.049
6.421 0.907 10.311
8.724 2.720 4.852
8.977 2.720 8.508
1.766 0.907 9.600
3.283 2.720 4.141
6.814 0.907 6.777
8.331 2.720 1.318
0.063 0.907 9.228
0.076 2.720 6.609
2.259 0.907 0.422
2.351 2.720 9.627
2.457 2.720 2.509
2.592 0.907 7.968
2.698 0.907 4.168
2.789 2.720 5.881
4.972 0.907 1.150
4.985 2.720 3.769
5.112 0.907 7.149
5.125 2.720 9.768
7.308 0.907 5.037
7.399 2.720 6.750
7.505 2.720 2.950
7.640 0.907 8.409
7.746 0.907 1.291
7.838 2.720 10.496
10.021 0.907 4.309
10.034 2.720 1.690
```

## Properties
SG	Pnma
size of the total moment	0.0	μB per cell
formation enthalpy at 0 K	-315	kJ per mole of atoms


No. 3
A plane-wave DFT calculation with r2SCAN was carried out for crystalline Ho2SO2 at its relaxed geometry.

Structure (POSCAR):
```
Ho2SO2
1.0
3.750 0.000 0.000
-1.875 3.248 0.000
0.000 0.000 13.243
Ho S O
4 2 4
Cartesian
0.000 2.165 1.423
0.000 2.165 5.198
1.875 1.083 8.045
1.875 1.083 11.820
0.000 0.000 3.311
0.000 0.000 9.932
0.000 2.165 7.475
0.000 2.165 12.389
1.875 1.083 0.854
1.875 1.083 5.767
```

## Properties
SG	P6_3/mmc
size of the total moment	0.0	μB per cell
formation enthalpy at 0 K	-343	kJ per mole of atoms


Look up the size of the total moment of the second one.
0.0 μB per cell


[1]
Material: FeSO7
Method: DFT, GGA+U
State: optimized geometry

Lattice parameters (Å, degrees): 19.5206 6.9901 7.4784 90.00 90.00 90.00
Last column: nearest neighbours and their distance in Å.
Atoms (fractional coordinates):
Fe1 0.1269 0.0009 0.2040  6 O 1.79-1.95
Fe2 0.1269 0.4991 0.2040  6 O 1.79-1.95
Fe3 0.3731 0.5009 0.7040  6 O 1.79-1.95
Fe4 0.3731 0.9991 0.7040  6 O 1.79-1.95
Fe5 0.6269 0.0009 0.2960  6 O 1.79-1.95
Fe6 0.6269 0.4991 0.2960  6 O 1.79-1.95
Fe7 0.8731 0.5009 0.7960  6 O 1.79-1.95
Fe8 0.8731 0.9991 0.7960  6 O 1.79-1.95
S1 0.1202 0.7500 0.5516  4 O 1.47-1.51
S2 0.1272 0.2500 0.8611  4 O 1.44-1.54
S3 0.3728 0.7500 0.3611  4 O 1.44-1.54
S4 0.3798 0.2500 0.0516  4 O 1.47-1.51
S5 0.6202 0.7500 0.9484  4 O 1.47-1.51
S6 0.6272 0.2500 0.6389  4 O 1.44-1.54
S7 0.8728 0.7500 0.1389  4 O 1.44-1.54
S8 0.8798 0.2500 0.4484  4 O 1.47-1.51
O1 0.0350 0.5343 0.2226  1 Fe 1.82
O2 0.0350 0.9657 0.2226  1 Fe 1.82
O3 0.0457 0.7500 0.5822  1 S 1.47
O4 0.0922 0.2500 0.6914  1 S 1.44
O5 0.1028 0.0731 0.9653  1 S 1.54
O6 0.1028 0.4269 0.9653  1 S 1.54
O7 0.1244 0.7500 0.1222  2 Fe 1.86
O8 0.1292 0.2500 0.2892  2 Fe 1.85
O9 0.1434 0.5742 0.4509  1 S 1.51
O10 0.1434 0.9258 0.4509  1 S 1.51
O11 0.1555 0.7500 0.7249  1 S 1.47
O12 0.2027 0.2500 0.8534  1 S 1.47
O13 0.2167 0.0397 0.1743  1 Fe 1.79
O14 0.2167 0.4603 0.1743  1 Fe 1.79
O15 0.2833 0.5397 0.6743  1 Fe 1.79
O16 0.2833 0.9603 0.6743  1 Fe 1.79
O17 0.2973 0.7500 0.3534  1 S 1.47
O18 0.3445 0.2500 0.2249  1 S 1.47
O19 0.3566 0.0742 0.9509  1 S 1.51
O20 0.3566 0.4258 0.9509  1 S 1.51
O21 0.3708 0.7500 0.7892  2 Fe 1.85
O22 0.3756 0.2500 0.6222  2 Fe 1.86
O23 0.3972 0.5731 0.4653  1 S 1.54
O24 0.3972 0.9269 0.4653  1 S 1.54
O25 0.4078 0.7500 0.1914  1 S 1.44
O26 0.4543 0.2500 0.0822  1 S 1.47
O27 0.4650 0.0343 0.7226  1 Fe 1.82